What is needed: transcribe only the last part of the block further down, starting with the line that has "0.0,".

Entry 1:
{
  "formula": "Li7Mn2Co3O12",
  "functional": "GGA+U",
  "state": "optimized geometry",
  "cell": [[-3.2880, -3.8362, 0.4355], [1.2320, 2.7716, 4.0641], [-8.0357, 5.6896, -0.3512]],
  "species": ["Mn", "Mn", "O", "O", "O", "O", "O", "O", "O", "O", "O", "O", "O", "O", "Li", "Li", "Li", "Li", "Li", "Li", "Li", "Co", "Co", "Co"],
  "frac_coords": [[0.1659, 0.8341, 0.5000], [0.8341, 0.1659, 0.5000], [0.9716, 0.2947, 0.1136], [0.7053, 0.0284, 0.8864], [0.0284, 0.7053, 0.8864], [0.3710, 0.3710, 0.8821], [0.5375, 0.1793, 0.3884], [0.6290, 0.6290, 0.1179], [0.8207, 0.4625, 0.6116], [0.4625, 0.8207, 0.6116], [0.2947, 0.9716, 0.1136], [0.1793, 0.5375, 0.3884], [0.1024, 0.1024, 0.6115], [0.8976, 0.8976, 0.3885], [0.5824, 0.9113, 0.2540], [0.5000, 0.5000, 0.5000], [0.4176, 0.0887, 0.7460], [0.9113, 0.5824, 0.2540], [0.7445, 0.7445, 0.7486], [0.2555, 0.2555, 0.2514], [0.0887, 0.4176, 0.7460], [0.0000, 0.0000, 0.0000], [0.6654, 0.3346, 0.0000], [0.3346, 0.6654, 0.0000]],
  "vol_a3_per_atom": 8.98,
  "spacegroup": "No. 12",
  "relative_energy_mev_per_atom": 0.0,
  "delta_e_f_ev_per_atom": -1.933
}

***

Entry 2:
{
  "formula": "Li4MnCo2O7",
  "functional": "GGA+U",
  "state": "optimized geometry",
  "cell": [[5.5858, -0.1647, -1.9814], [0.8981, 5.9145, -2.7245], [-0.2538, -0.1655, 7.7211]],
  "species": ["Li", "Li", "Li", "Li", "Li", "Li", "Li", "Li", "Mn", "Mn", "Co", "Co", "Co", "Co", "O", "O", "O", "O", "O", "O", "O", "O", "O", "O", "O", "O", "O", "O"],
  "frac_coords": [[0.3481, 0.7121, 0.5647], [0.7141, 0.4328, 0.1436], [0.5012, 0.0009, 0.0012], [0.6440, 0.2915, 0.4248], [0.2153, 0.4314, 0.1414], [0.0709, 0.1445, 0.7123], [0.9232, 0.8509, 0.2849], [0.7910, 0.5703, 0.8710], [0.1377, 0.2856, 0.4262], [0.0014, 0.0042, 0.0020], [0.8481, 0.7062, 0.5619], [0.5749, 0.1499, 0.7218], [0.2857, 0.5711, 0.8568], [0.4422, 0.8400, 0.2789], [0.7347, 0.9950, 0.5059], [0.1737, 0.8457, 0.8001], [0.9682, 0.4208, 0.6250], [0.0347, 0.5621, 0.3746], [0.8544, 0.1415, 0.2168], [0.4335, 0.4237, 0.6378], [0.2930, 0.1444, 0.2109], [0.2566, 0.0138, 0.4884], [0.3922, 0.2984, 0.9110], [0.5399, 0.5863, 0.3690], [0.5990, 0.7260, 0.0814], [0.8950, 0.2603, 0.9264], [0.7098, 0.8684, 0.8000], [0.1173, 0.7221, 0.0612]],
  "vol_a3_per_atom": 8.96,
  "spacegroup": "No. 1",
  "relative_energy_mev_per_atom": 30.2,
  "delta_e_f_ev_per_atom": -1.854
}

***

Entry 3:
{
  "formula": "Li7Mn2Co3O12",
  "functional": "GGA+U",
  "state": "optimized geometry",
  "cell": [[-0.0550, 1.3522, -2.6343], [-1.7697, 0.9363, 2.1823], [20.8019, 18.3617, 8.9906]],
  "species": ["Li", "Li", "Li", "Li", "Li", "Li", "Li", "O", "O", "O", "O", "O", "O", "O", "O", "O", "O", "O", "O", "Co", "Co", "Co", "Mn", "Mn"],
  "frac_coords": [[0.6667, 0.3333, 0.0929], [0.3333, 0.6667, 0.1663], [0.0000, 0.0000, 0.2469], [0.3333, 0.6667, 0.4146], [0.3333, 0.6667, 0.9123], [0.0000, 0.0000, 0.7541], [0.6667, 0.3333, 0.5794], [0.6667, 0.3333, 0.2078], [0.3333, 0.6667, 0.7963], [0.0000, 0.0000, 0.6284], [0.3333, 0.6667, 0.5374], [0.0000, 0.0000, 0.3721], [0.3333, 0.6667, 0.0353], [0.6667, 0.3333, 0.9620], [0.6667, 0.3333, 0.7041], [0.0000, 0.0000, 0.1250], [0.0000, 0.0000, 0.8706], [0.3333, 0.6667, 0.2971], [0.6667, 0.3333, 0.4646], [0.6667, 0.3333, 0.3334], [0.0000, 0.0000, 0.4996], [0.6667, 0.3333, 0.8333], [0.0000, 0.0000, 0.0001], [0.3333, 0.6667, 0.6663]],
  "vol_a3_per_atom": 9.23,
  "spacegroup": "No. 156",
  "relative_energy_mev_per_atom": 206.9,
  "delta_e_f_ev_per_atom": -1.727
}

***

Entry 4:
{
  "formula": "Li7Mn2Co3O12",
  "functional": "GGA+U",
  "state": "optimized geometry",
  "cell": [[2.8826, 0.1265, 0.1656], [-0.2565, 5.0850, -0.7557], [0.4693, -0.3732, 14.8753]],
  "species": ["Co", "Co", "Co", "Li", "Li", "Li", "Li", "Li", "Li", "Li", "Mn", "Mn", "O", "O", "O", "O", "O", "O", "O", "O", "O", "O", "O", "O"],

  "relative_energy_mev_per_atom": 0.0,
  "delta_e_f_ev_per_atom": -1.933
}

***

Entry 2:
{
  "formula": "Li4MnCo2O7",
  "functional": "GGA+U",
  "state": "optimized geometry",
  "cell": [[5.5858, -0.1647, -1.9814], [0.8981, 5.9145, -2.7245], [-0.2538, -0.1655, 7.7211]],
  "species": ["Li", "Li", "Li", "Li", "Li", "Li", "Li", "Li", "Mn", "Mn", "Co", "Co", "Co", "Co", "O", "O", "O", "O", "O", "O", "O", "O", "O", "O", "O", "O", "O", "O"],
  "frac_coords": [[0.3481, 0.7121, 0.5647], [0.7141, 0.4328, 0.1436], [0.5012, 0.0009, 0.0012], [0.6440, 0.2915, 0.4248], [0.2153, 0.4314, 0.1414], [0.0709, 0.1445, 0.7123], [0.9232, 0.8509, 0.2849], [0.7910, 0.5703, 0.8710], [0.1377, 0.2856, 0.4262], [0.0014, 0.0042, 0.0020], [0.8481, 0.7062, 0.5619], [0.5749, 0.1499, 0.7218], [0.2857, 0.5711, 0.8568], [0.4422, 0.8400, 0.2789], [0.7347, 0.9950, 0.5059], [0.1737, 0.8457, 0.8001], [0.9682, 0.4208, 0.6250], [0.0347, 0.5621, 0.3746], [0.8544, 0.1415, 0.2168], [0.4335, 0.4237, 0.6378], [0.2930, 0.1444, 0.2109], [0.2566, 0.0138, 0.4884], [0.3922, 0.2984, 0.9110], [0.5399, 0.5863, 0.3690], [0.5990, 0.7260, 0.0814], [0.8950, 0.2603, 0.9264], [0.7098, 0.8684, 0.8000], [0.1173, 0.7221, 0.0612]],
  "vol_a3_per_atom": 8.96,
  "spacegroup": "No. 1",
  "relative_energy_mev_per_atom": 30.2,
  "delta_e_f_ev_per_atom": -1.854
}

***

Entry 3:
{
  "formula": "Li7Mn2Co3O12",
  "functional": "GGA+U",
  "state": "optimized geometry",
  "cell": [[-0.0550, 1.3522, -2.6343], [-1.7697, 0.9363, 2.1823], [20.8019, 18.3617, 8.9906]],
  "species": ["Li", "Li", "Li", "Li", "Li", "Li", "Li", "O", "O", "O", "O", "O", "O", "O", "O", "O", "O", "O", "O", "Co", "Co", "Co", "Mn", "Mn"],
  "frac_coords": [[0.6667, 0.3333, 0.0929], [0.3333, 0.6667, 0.1663], [0.0000, 0.0000, 0.2469], [0.3333, 0.6667, 0.4146], [0.3333, 0.6667, 0.9123], [0.0000, 0.0000, 0.7541], [0.6667, 0.3333, 0.5794], [0.6667, 0.3333, 0.2078], [0.3333, 0.6667, 0.7963], [0.0000, 0.0000, 0.6284], [0.3333, 0.6667, 0.5374], [0.0000, 0.0000, 0.3721], [0.3333, 0.6667, 0.0353], [0.6667, 0.3333, 0.9620], [0.6667, 0.3333, 0.7041], [0.0000, 0.0000, 0.1250], [0.0000, 0.0000, 0.8706], [0.3333, 0.6667, 0.2971], [0.6667, 0.3333, 0.4646], [0.6667, 0.3333, 0.3334], [0.0000, 0.0000, 0.4996], [0.6667, 0.3333, 0.8333], [0.0000, 0.0000, 0.0001], [0.3333, 0.6667, 0.6663]],
  "vol_a3_per_atom": 9.23,
  "spacegroup": "No. 156",
  "relative_energy_mev_per_atom": 206.9,
  "delta_e_f_ev_per_atom": -1.727
}

***

Entry 4:
{
  "formula": "Li7Mn2Co3O12",
  "functional": "GGA+U",
  "state": "optimized geometry",
  "cell": [[2.8826, 0.1265, 0.1656], [-0.2565, 5.0850, -0.7557], [0.4693, -0.3732, 14.8753]],
  "species": ["Co", "Co", "Co", "Li", "Li", "Li", "Li", "Li", "Li", "Li", "Mn", "Mn", "O", "O", "O", "O", "O", "O", "O", "O", "O", "O", "O", "O"],